This is my first review and it is about DBZ: Budokai Tenkaichi. Enjoy.

User Rating: 5 | Dragon Ball Z: Budokai Tenkaichi PS2
This is the first review I have ever written so I am going to be honest, I played all three of the DBZ’s and then this recent one, I was hoping for a lot, but seemed to be disappointed. The graphics were not that great, the flight was no more then hovering, yes you could fly up at will and move around in the air, but to be honest it was not all that special, the energy attacks were dumbed down quiet a bit, aside from a few energy attacks, aside from the trade mark Ki blasts, yea all the main chars had there own attacks like in the series but they did not look all that different, and it seemed like they took out a few Ki blasts as well. Yes they added a few more characters but not that much, they took out being able to go super sayin (Note: It is spelled so many different ways that I forgot how it should be spelled, sorry) instead to fill up the character list, each transformed state is considered a char of it’s own, not to mention they removed piccolo’s Nail and Kami fusion which made a big difference in the other games I think, and they seemed to of added all the bad guys from GT, but they did not put pan in, I know no one wants her but come on they put freaking Master Roshi in it and choutzo (another note: Sorry not sure how to spell his name) so why not pan she was like the only different char in GT. Now I am not saying the game sucked, trust me I have played some bad DBZ games, but this one was not all that good, Dibs was better then Spike, but maybe Spike will do another one, and it will be better, I mean Dips did, though after figuring out that the Budokai series and this new one were not the same, it made sense.

Ok the music was no better nor was it worse then the other three. The controls were easier, but seemed to be a little to easy, they compressed punch and kick into one button and made the physical attacks look the same more or less, they kept the energy blast button the same, but if you want to use a special you have to more or less hit the L2 button at the same time as the triangle, block is simple, just block no tap dodging (Note: If you played three, that is where you tapped block and they would stay in one place and move there upper body in order to dodge the hit), the flight controls are simple R1 up R2 down, move around with the direction button or the analog stick in air or ground moving is the same, same with water.

Fighting is easy if you figure out the trick, hold down the Ki charging button and press the energy attack button and you will do an energy attack, knock the opponent down then you have time to charge up and blast him again by the time he gets up, pretty simple huh? (Note: Way to simple but) the bad thing doing it any other way is no more fun, unless you read this before playing … well, you will get the idea.

Ok the cut scenes …. Well, there were not any really … depends on what your idea is so I wont go into it.

All in all, it is not the best fighting game, but it is not the worse either, try you may or may not like it, but I would rent it before buying it, takes about a day or two to unlock most of it, then it just gets redundant … oh if I did not mention before the arena is actually pretty cool and that gets a 9.

Between two parts of the piece: data records:
[1]
# C2H5FIN

A 2-piece molecular cluster, C2H5FIN overall (the ωB97M-V functional and the def2-TZVPD basis, the OMol25 dataset).

Its molar mass is 188.97 g mol⁻¹. As for the net charge: 0.

Last column: natural (NBO) charge in e.
Element x y z (Å)
C1 -0.96 1.15 -0.09  -0.51
C2 -1.70 0.07 -0.01  0.25
F1 -1.16 -1.15 0.08  -0.34
I1 -3.80 -0.01 -0.05  0.12
H1 0.12 1.08 -0.08  0.25
H2 -1.41 2.12 -0.16  0.22
N1 2.12 -0.58 -0.01  -1.08
H3 3.05 -0.75 -0.40  0.36
H4 2.21 -0.59 1.00  0.36
H5 1.53 -1.36 -0.28  0.36

---

[2]
# C29H47N3O7SeSi4TeTi

C29H47N3O7SeSi4TeTi as an isolated structure (the ωB97M-V functional and the def2-TZVPD basis, the OMol25 dataset).

Its molar mass is 916.48 g mol⁻¹. As for the net charge: 0.

Last column: Mulliken charge in e.
Element x y z (Å)
Ti1 -1.60 0.10 -1.39  -1.47
C1 -2.70 2.88 1.45  -1.38
C2 -2.85 1.77 0.45  0.81
O1 -1.78 1.32 -0.04  0.22
C3 -4.15 1.24 0.14  0.65
C4 -5.31 1.83 0.69  -1.02
C5 -6.56 1.43 0.31  -0.97
C6 -6.71 0.40 -0.63  -0.49
C7 -5.61 -0.23 -1.15  -0.93
C8 -4.31 0.18 -0.80  0.18
O2 -3.29 -0.46 -1.32  1.50
H1 -1.64 3.06 1.61  -0.35
H2 -3.16 2.61 2.40  0.51
H3 -3.16 3.79 1.08  0.46
H4 -5.20 2.63 1.41  0.45
H5 -7.44 1.92 0.72  0.41
H6 -7.70 0.08 -0.93  0.46
H7 -5.70 -1.04 -1.86  0.46
C9 2.28 -1.69 -3.27  -0.86
C10 1.55 -0.51 -3.78  -0.12
N1 0.51 0.06 -3.21  0.94
C11 0.16 1.12 -4.00  0.38
C12 1.01 1.20 -5.08  -0.26
N2 1.87 0.15 -4.91  0.05
C13 1.14 2.09 -6.25  0.51
O3 0.31 3.11 -6.32  -0.55
O4 1.99 1.86 -7.08  -0.63
C14 -1.02 1.93 -3.63  0.58
O5 -1.29 2.96 -4.23  -0.87
O6 -1.71 1.45 -2.65  -0.39
H8 1.59 -2.32 -2.70  0.05
H9 3.08 -1.40 -2.59  -0.11
H10 2.70 -2.27 -4.10  0.46
H11 2.62 -0.04 -5.56  0.24
H12 -0.32 3.15 -5.55  0.44
C15 1.06 3.45 2.99  -0.87
Si1 2.54 2.38 2.48  0.71
C16 3.74 2.44 3.95  -1.08
C17 3.40 3.29 1.05  -1.12
Si2 2.05 0.14 1.93  0.12
Te1 0.58 -0.41 -0.04  0.58
Si3 1.37 -1.01 3.88  0.64
C18 -0.03 -0.05 4.75  -0.93
C19 2.78 -1.28 5.13  -1.12
C20 0.66 -2.69 3.35  -0.70
Si4 4.03 -0.84 1.04  0.31
C21 4.54 0.07 -0.55  -1.08
C22 5.48 -0.65 2.27  -1.08
C23 3.78 -2.68 0.68  -0.98
H13 1.37 4.48 3.20  0.41
H14 0.58 3.06 3.89  0.31
H15 0.31 3.49 2.20  -0.08
H16 4.08 3.45 4.15  0.39
H17 4.61 1.81 3.77  0.24
H18 3.25 2.06 4.86  0.27
H19 3.52 4.36 1.27  0.41
H20 2.82 3.20 0.12  0.29
H21 4.39 2.87 0.86  0.28
H22 0.36 0.84 5.25  0.29
H23 -0.54 -0.65 5.51  0.40
H24 -0.77 0.27 4.02  0.10
H25 3.32 -0.34 5.30  0.30
H26 3.50 -2.00 4.74  0.27
H27 2.42 -1.64 6.09  0.38
H28 0.04 -2.54 2.46  -0.09
H29 0.06 -3.18 4.12  0.38
H30 1.46 -3.38 3.07  0.29
H31 5.20 0.91 -0.34  0.39
H32 3.64 0.47 -1.04  0.19
H33 5.06 -0.58 -1.25  0.43
H34 5.75 0.40 2.38  0.27
H35 6.37 -1.18 1.93  0.40
H36 5.21 -1.03 3.26  0.26
H37 2.80 -2.82 0.21  0.25
H38 3.79 -3.26 1.61  0.29
H39 4.54 -3.09 0.02  0.37
Se1 -0.98 -2.15 -1.59  -0.62
C24 -2.30 -2.55 -2.93  0.59
C25 -3.45 -3.26 -2.64  -0.55
C26 -4.37 -3.47 -3.66  -0.38
N3 -4.20 -3.03 -4.91  -0.63
C27 -3.09 -2.35 -5.17  -0.58
C28 -2.11 -2.09 -4.23  -0.07
H40 -3.64 -3.63 -1.64  0.37

Hope you all like my first review and it was not to boring, thanks for reading it.
Ps. My e-mail is if you want to get a hold of me.